# Wanted
Next, retype all of the material further below verbatim.
# Input
┌──
The following is a simulated X-ray powder pattern of CsCd6Hg6. It was derived from a DFT-relaxed cell (PBE, Alexandria), using Cu Kα X-rays.

Atomic structure:
a b c (Å): 8.1928 8.1928 8.1928
angles (deg): 135.69 99.21 97.14
Fractional coordinates of all 13 atoms:
Cs1 0.0000 0.0000 0.0000
Cd1 0.0000 0.0000 0.5000
Cd2 0.0000 0.5000 0.0000
Cd3 0.2465 0.5000 0.7465
Cd4 0.5000 0.0000 0.0000
Cd5 0.5000 0.5000 0.5000
Cd6 0.7535 0.5000 0.2535
Hg1 0.1958 0.6958 0.5000
Hg2 0.3468 0.3468 0.0000
Hg3 0.3540 0.0000 0.3540
Hg4 0.6460 0.0000 0.6460
Hg5 0.6532 0.6532 0.0000
Hg6 0.8042 0.3042 0.5000

Peak list (10 most intense, 10° ≤ 2θ ≤ 80°, sorted by position)
| 2θ/deg | intensity |
| --- | --- |
| 28.61 | 62 |
| 28.90 | 34 |
| 33.33 | 100 |
| 33.55 | 80 |
| 33.77 | 31 |
| 37.23 | 38 |
| 37.55 | 71 |
| 37.78 | 60 |
| 59.26 | 30 |
| 60.11 | 28 |

The following is a simulated X-ray powder pattern of Cs2Cd3Hg2. It was derived from a DFT-relaxed cell (PBE, Alexandria), using Cu Kα X-rays.

Atomic structure:
a b c (Å): 6.8108 6.8108 7.8133
angles (deg): 105.95 105.95 49.44
Fractional coordinates of all 7 atoms:
Cs1 0.1473 0.1473 0.2914
Cs2 0.8527 0.8527 0.7086
Cd1 0.4077 0.4077 0.0958
Cd2 0.5000 0.5000 0.5000
Cd3 0.5923 0.5923 0.9042
Hg1 0.1700 0.1700 0.8097
Hg2 0.8300 0.8300 0.1903

Peak list (10 most intense, 10° ≤ 2θ ≤ 80°, sorted by position)
| 2θ/deg | intensity |
| --- | --- |
| 16.10 | 28 |
| 27.57 | 100 |
| 27.69 | 90 |
| 31.42 | 78 |
| 31.80 | 46 |
| 32.08 | 55 |
| 39.88 | 22 |
| 45.51 | 42 |
| 53.63 | 30 |
| 55.00 | 24 |

The following is a simulated X-ray powder pattern of Cs2Cd7Hg. It was derived from a DFT-relaxed cell (PBE, Alexandria), using Cu Kα X-rays.

Atomic structure:
a b c (Å): 5.3145 5.3145 11.8415
angles (deg): 90.00 90.00 90.00
Fractional coordinates of all 10 atoms:
Cs1 0.0000 0.5000 0.2482
Cs2 0.5000 0.0000 0.7518
Cd1 0.0000 0.0000 0.0000
Cd2 0.0000 0.0000 0.5000
Cd3 0.0000 0.5000 0.6213
Cd4 0.0000 0.5000 0.8745
Cd5 0.5000 0.0000 0.1255
Cd6 0.5000 0.0000 0.3787
Cd7 0.5000 0.5000 0.5000
Hg1 0.5000 0.5000 0.0000

Peak list (10 most intense, 10° ≤ 2θ ≤ 80°, sorted by position)
| 2θ/deg | intensity |
| --- | --- |
| 28.14 | 100 |
| 33.73 | 50 |
| 38.72 | 25 |
| 41.76 | 11 |
| 44.50 | 20 |
| 48.45 | 18 |
| 52.36 | 12 |
| 56.96 | 22 |
| 63.67 | 11 |
| 73.19 | 10 |

The following is a simulated X-ray powder pattern of Cs4CdHg. It was derived from a DFT-relaxed cell (PBE, Alexandria), using Cu Kα X-rays.

Atomic structure:
a b c (Å): 11.0078 11.0078 8.7053
angles (deg): 107.83 107.83 111.66
Fractional coordinates of all 12 atoms:
Cs1 0.0554 0.6964 0.9051
Cs2 0.2402 0.3640 0.7292
Cs3 0.3036 0.9446 0.5949
Cs4 0.3640 0.2402 0.2292
Cs5 0.6360 0.7598 0.7708
Cs6 0.6964 0.0554 0.4051
Cs7 0.7598 0.6360 0.2708
Cs8 0.9446 0.3036 0.0949
Cd1 0.3642 0.6358 0.2500
Cd2 0.6358 0.3642 0.7500
Hg1 0.0008 0.9992 0.7500
Hg2 0.9992 0.0008 0.2500

Peak list (10 most intense, 10° ≤ 2θ ≤ 80°, sorted by position)
| 2θ/deg | intensity |
| --- | --- |
| 22.19 | 62 |
| 23.01 | 80 |
| 24.43 | 100 |
| 25.62 | 58 |
| 25.92 | 47 |
| 26.31 | 44 |
| 27.77 | 42 |
| 28.15 | 51 |
| 29.75 | 56 |
| 45.13 | 35 |

The following is a simulated X-ray powder pattern of CsCd7Hg12. It was derived from a DFT-relaxed cell (PBE, Alexandria), using Cu Kα X-rays.

Atomic structure:
a b c (Å): 9.4176 9.4176 9.4176
angles (deg): 109.47 109.47 109.47
Fractional coordinates of all 20 atoms:
Cs1 0.0000 0.0000 0.0000
Cd1 0.0000 0.0000 0.5000
Cd2 0.0000 0.5000 0.0000
Cd3 0.0000 0.5000 0.5000
Cd4 0.5000 0.0000 0.0000
Cd5 0.5000 0.0000 0.5000
Cd6 0.5000 0.5000 0.0000
Cd7 0.5000 0.5000 0.5000
Hg1 0.1142 0.7738 0.3404
Hg2 0.2262 0.3404 0.5666
Hg3 0.2262 0.6596 0.8858
Hg4 0.3404 0.1142 0.7738
Hg5 0.3404 0.5666 0.2262
Hg6 0.4334 0.7738 0.6596
Hg7 0.5666 0.2262 0.3404
Hg8 0.6596 0.4334 0.7738
Hg9 0.6596 0.8858 0.2262
Hg10 0.7738 0.3404 0.1142
Hg11 0.7738 0.6596 0.4334
Hg12 0.8858 0.2262 0.6596

Peak list (10 most intense, 10° ≤ 2θ ≤ 80°, sorted by position)
| 2θ/deg | intensity |
└──
# Outcome
The following is a simulated X-ray powder pattern of CsCd6Hg6. It was derived from a DFT-relaxed cell (PBE, Alexandria), using Cu Kα X-rays.

Atomic structure:
a b c (Å): 8.1928 8.1928 8.1928
angles (deg): 135.69 99.21 97.14
Fractional coordinates of all 13 atoms:
Cs1 0.0000 0.0000 0.0000
Cd1 0.0000 0.0000 0.5000
Cd2 0.0000 0.5000 0.0000
Cd3 0.2465 0.5000 0.7465
Cd4 0.5000 0.0000 0.0000
Cd5 0.5000 0.5000 0.5000
Cd6 0.7535 0.5000 0.2535
Hg1 0.1958 0.6958 0.5000
Hg2 0.3468 0.3468 0.0000
Hg3 0.3540 0.0000 0.3540
Hg4 0.6460 0.0000 0.6460
Hg5 0.6532 0.6532 0.0000
Hg6 0.8042 0.3042 0.5000

Peak list (10 most intense, 10° ≤ 2θ ≤ 80°, sorted by position)
| 2θ/deg | intensity |
| --- | --- |
| 28.61 | 62 |
| 28.90 | 34 |
| 33.33 | 100 |
| 33.55 | 80 |
| 33.77 | 31 |
| 37.23 | 38 |
| 37.55 | 71 |
| 37.78 | 60 |
| 59.26 | 30 |
| 60.11 | 28 |

The following is a simulated X-ray powder pattern of Cs2Cd3Hg2. It was derived from a DFT-relaxed cell (PBE, Alexandria), using Cu Kα X-rays.

Atomic structure:
a b c (Å): 6.8108 6.8108 7.8133
angles (deg): 105.95 105.95 49.44
Fractional coordinates of all 7 atoms:
Cs1 0.1473 0.1473 0.2914
Cs2 0.8527 0.8527 0.7086
Cd1 0.4077 0.4077 0.0958
Cd2 0.5000 0.5000 0.5000
Cd3 0.5923 0.5923 0.9042
Hg1 0.1700 0.1700 0.8097
Hg2 0.8300 0.8300 0.1903

Peak list (10 most intense, 10° ≤ 2θ ≤ 80°, sorted by position)
| 2θ/deg | intensity |
| --- | --- |
| 16.10 | 28 |
| 27.57 | 100 |
| 27.69 | 90 |
| 31.42 | 78 |
| 31.80 | 46 |
| 32.08 | 55 |
| 39.88 | 22 |
| 45.51 | 42 |
| 53.63 | 30 |
| 55.00 | 24 |

The following is a simulated X-ray powder pattern of Cs2Cd7Hg. It was derived from a DFT-relaxed cell (PBE, Alexandria), using Cu Kα X-rays.

Atomic structure:
a b c (Å): 5.3145 5.3145 11.8415
angles (deg): 90.00 90.00 90.00
Fractional coordinates of all 10 atoms:
Cs1 0.0000 0.5000 0.2482
Cs2 0.5000 0.0000 0.7518
Cd1 0.0000 0.0000 0.0000
Cd2 0.0000 0.0000 0.5000
Cd3 0.0000 0.5000 0.6213
Cd4 0.0000 0.5000 0.8745
Cd5 0.5000 0.0000 0.1255
Cd6 0.5000 0.0000 0.3787
Cd7 0.5000 0.5000 0.5000
Hg1 0.5000 0.5000 0.0000

Peak list (10 most intense, 10° ≤ 2θ ≤ 80°, sorted by position)
| 2θ/deg | intensity |
| --- | --- |
| 28.14 | 100 |
| 33.73 | 50 |
| 38.72 | 25 |
| 41.76 | 11 |
| 44.50 | 20 |
| 48.45 | 18 |
| 52.36 | 12 |
| 56.96 | 22 |
| 63.67 | 11 |
| 73.19 | 10 |

The following is a simulated X-ray powder pattern of Cs4CdHg. It was derived from a DFT-relaxed cell (PBE, Alexandria), using Cu Kα X-rays.

Atomic structure:
a b c (Å): 11.0078 11.0078 8.7053
angles (deg): 107.83 107.83 111.66
Fractional coordinates of all 12 atoms:
Cs1 0.0554 0.6964 0.9051
Cs2 0.2402 0.3640 0.7292
Cs3 0.3036 0.9446 0.5949
Cs4 0.3640 0.2402 0.2292
Cs5 0.6360 0.7598 0.7708
Cs6 0.6964 0.0554 0.4051
Cs7 0.7598 0.6360 0.2708
Cs8 0.9446 0.3036 0.0949
Cd1 0.3642 0.6358 0.2500
Cd2 0.6358 0.3642 0.7500
Hg1 0.0008 0.9992 0.7500
Hg2 0.9992 0.0008 0.2500

Peak list (10 most intense, 10° ≤ 2θ ≤ 80°, sorted by position)
| 2θ/deg | intensity |
| --- | --- |
| 22.19 | 62 |
| 23.01 | 80 |
| 24.43 | 100 |
| 25.62 | 58 |
| 25.92 | 47 |
| 26.31 | 44 |
| 27.77 | 42 |
| 28.15 | 51 |
| 29.75 | 56 |
| 45.13 | 35 |

The following is a simulated X-ray powder pattern of CsCd7Hg12. It was derived from a DFT-relaxed cell (PBE, Alexandria), using Cu Kα X-rays.

Atomic structure:
a b c (Å): 9.4176 9.4176 9.4176
angles (deg): 109.47 109.47 109.47
Fractional coordinates of all 20 atoms:
Cs1 0.0000 0.0000 0.0000
Cd1 0.0000 0.0000 0.5000
Cd2 0.0000 0.5000 0.0000
Cd3 0.0000 0.5000 0.5000
Cd4 0.5000 0.0000 0.0000
Cd5 0.5000 0.0000 0.5000
Cd6 0.5000 0.5000 0.0000
Cd7 0.5000 0.5000 0.5000
Hg1 0.1142 0.7738 0.3404
Hg2 0.2262 0.3404 0.5666
Hg3 0.2262 0.6596 0.8858
Hg4 0.3404 0.1142 0.7738
Hg5 0.3404 0.5666 0.2262
Hg6 0.4334 0.7738 0.6596
Hg7 0.5666 0.2262 0.3404
Hg8 0.6596 0.4334 0.7738
Hg9 0.6596 0.8858 0.2262
Hg10 0.7738 0.3404 0.1142
Hg11 0.7738 0.6596 0.4334
Hg12 0.8858 0.2262 0.6596

Peak list (10 most intense, 10° ≤ 2θ ≤ 80°, sorted by position)
| 2θ/deg | intensity |